Please reproduce all of the data further below word for word.

********
w:
17
Properties=species:S:1:pos:R:3:mulliken_spin:R:1 method="wB97M-V/def2-TZVPD" multiplicity=2 e_homo_ev="-3.26 / -7.77" gap_ha="0.14619 / 0.30187"
C -1.05343 -1.61849 -0.70671 0.0606
C -0.69736 -0.21616 -0.34852 0.6915
C -0.55469 0.89639 -1.15798 0.1022
N -0.72129 0.82991 -2.58102 0.0025
N 0.05083 -0.08527 0.94062 0.4618
H -0.22387 -2.33123 -0.64810 -0.0864
H -1.87553 -1.97806 -0.08480 -0.0230
H -1.40916 -1.63785 -1.73804 -0.0053
H -0.07532 1.76844 -0.70046 -0.0545
H -1.66616 1.07086 -2.88167 0.0161
H -0.08058 1.43776 -3.06678 0.0046
H -0.39340 0.63710 1.49224 -0.1266
H 0.07152 -0.95200 1.48215 -0.1213
H 1.05918 0.21471 0.78105 -0.0299
H 3.07635 0.65093 3.05478 -0.0526
H 2.05266 -0.19376 3.82888 -0.0504
O 2.23794 0.18720 2.96409 0.2108


x:
17
Properties=species:S:1:pos:R:3:mulliken_spin:R:1 method="wB97M-V/def2-TZVPD" multiplicity=2 e_homo_ev="-4.45 / -8.05" gap_ha="0.18439 / 0.31622"
C 1.23862 -1.91999 -0.81802 0.0265
C 1.36591 -0.38490 -0.91889 0.0381
N -2.07404 0.91646 -0.25631 0.1202
C -1.12418 -0.01086 -0.66513 0.7037
N 0.13535 0.12020 -0.18350 0.1162
H 1.44684 -2.27466 0.18799 -0.0064
H 0.27176 -2.25196 -1.18782 -0.0029
H 1.90175 -2.33453 -1.57769 -0.0029
H 2.17176 0.06576 -0.36542 0.0067
H 1.18054 -0.04671 -1.95020 -0.0394
H -1.79419 1.70190 0.30649 -0.0046
H -3.03343 0.69418 -0.44001 -0.0275
H -1.31216 -0.58324 -1.58645 0.0493
H 0.18890 0.05379 0.86154 0.0164
H 0.08686 1.00228 3.17089 0.0002
H 1.13910 1.58136 2.28886 0.0004
O 0.28114 1.14279 2.23345 0.0060


x is preferred energetically. Next in line: 146.6 kJ/mol higher.


w:
14
Properties=species:S:1:pos:R:3:mulliken_charge:R:1 method="wB97M-V/def2-TZVPD" total_charge=+1 smiles="N/C([NH3+])=N/N(S)S" multiplicity=1 e_homo_ev=-12.55 gap_ha=0.32772
C -0.04883 0.61751 -0.44717 0.4188
N -0.29774 1.00250 0.69770 -0.2584
N 0.64058 1.33403 -1.37809 -0.4865
N -0.33507 -0.69884 -1.06175 -0.2390
N -0.84028 0.43429 1.73225 0.0269
S -1.65035 1.37462 2.87811 -0.0462
S -1.14671 -1.29651 1.80821 -0.2222
H 0.14378 1.58292 -2.24205 0.2187
H 1.35189 2.01722 -1.11441 0.2280
H -1.31904 -0.68395 -1.32219 0.3246
H 0.18685 -0.90644 -1.89290 0.3678
H -0.12932 -1.35867 -0.35520 0.2751
H -0.76584 0.86214 3.94721 0.1728
H -0.14212 -1.57351 2.67517 0.2197


x:
14
Properties=species:S:1:pos:R:3:mulliken_charge:R:1 method="wB97M-V/def2-TZVPD" total_charge=+1 multiplicity=1 e_homo_ev=-12.67 gap_ha=0.27714
C -0.42742 0.78350 -0.79398 0.6407
N -1.07321 -0.35137 -0.50184 0.0499
N -1.01249 1.96129 -0.42103 -0.3516
N 0.56902 0.79824 -1.63039 -0.3034
N -1.71807 -0.99689 0.31287 -0.2127
S 3.18057 -1.40737 1.02063 -0.3034
S -1.70456 -0.97274 1.90857 0.0292
H -1.43085 2.00537 0.50681 0.2138
H -0.93290 2.85817 -0.93185 0.2296
H 1.09393 -0.01199 -1.99261 0.2580
H 0.67800 1.61773 -2.10311 0.1844
H 2.01239 -1.30953 1.62495 0.1166
H 3.25410 -2.82741 0.93240 0.1904
H -2.48853 -2.14701 2.06857 0.2585


x is preferred energetically. Next in line: 30.9 kJ/mol higher.


w:
12
Properties=species:S:1:pos:R:3:mulliken_charge:R:1 method="wB97M-V/def2-TZVPD" total_charge=+1 multiplicity=1 e_homo_ev=-15.28 gap_ha=0.36392
C 3.11698 -0.33070 -0.03527 0.4332
C -1.48346 0.53436 0.04023 0.4787
C 1.98774 -1.07795 0.17800 -0.2502
C -2.84569 1.04417 -0.08018 -0.8673
N -0.54413 0.04731 -0.41611 -0.4406
S 4.33881 0.52368 -0.17195 -0.1466
H 0.83362 -0.65120 0.12439 0.3005
H 1.90346 -1.55810 1.19592 0.3358
H 2.22566 -1.89750 -0.60740 0.2790
H -3.37878 1.04046 0.86812 0.3054
H -3.19246 0.23398 -0.72030 0.2495
H -2.96174 2.09148 -0.37545 0.3225


x:
12
Properties=species:S:1:pos:R:3:mulliken_charge:R:1 method="wB97M-V/def2-TZVPD" total_charge=+1 smiles="C1=C[N@H+]2C[C@H]2S1" multiplicity=1 e_homo_ev="-12.89 / -12.89" gap_ha="0.30918 / 0.30913"
C -0.16660 1.29601 -0.23353 -0.4722
C -1.68842 1.20021 0.27994 -0.1942
C 0.44882 -1.02889 0.49500 -0.4385
C -0.60513 -1.02259 -0.52698 -0.0033
N 0.36675 0.05732 -0.49538 -0.0232
S -2.21529 -0.35666 -0.05415 -0.0292
H 0.45539 2.06264 -0.17749 0.4704
H -2.28186 2.09521 0.61295 0.3750
********

w:
17
Properties=species:S:1:pos:R:3:mulliken_spin:R:1 method="wB97M-V/def2-TZVPD" multiplicity=2 e_homo_ev="-3.26 / -7.77" gap_ha="0.14619 / 0.30187"
C -1.05343 -1.61849 -0.70671 0.0606
C -0.69736 -0.21616 -0.34852 0.6915
C -0.55469 0.89639 -1.15798 0.1022
N -0.72129 0.82991 -2.58102 0.0025
N 0.05083 -0.08527 0.94062 0.4618
H -0.22387 -2.33123 -0.64810 -0.0864
H -1.87553 -1.97806 -0.08480 -0.0230
H -1.40916 -1.63785 -1.73804 -0.0053
H -0.07532 1.76844 -0.70046 -0.0545
H -1.66616 1.07086 -2.88167 0.0161
H -0.08058 1.43776 -3.06678 0.0046
H -0.39340 0.63710 1.49224 -0.1266
H 0.07152 -0.95200 1.48215 -0.1213
H 1.05918 0.21471 0.78105 -0.0299
H 3.07635 0.65093 3.05478 -0.0526
H 2.05266 -0.19376 3.82888 -0.0504
O 2.23794 0.18720 2.96409 0.2108


x:
17
Properties=species:S:1:pos:R:3:mulliken_spin:R:1 method="wB97M-V/def2-TZVPD" multiplicity=2 e_homo_ev="-4.45 / -8.05" gap_ha="0.18439 / 0.31622"
C 1.23862 -1.91999 -0.81802 0.0265
C 1.36591 -0.38490 -0.91889 0.0381
N -2.07404 0.91646 -0.25631 0.1202
C -1.12418 -0.01086 -0.66513 0.7037
N 0.13535 0.12020 -0.18350 0.1162
H 1.44684 -2.27466 0.18799 -0.0064
H 0.27176 -2.25196 -1.18782 -0.0029
H 1.90175 -2.33453 -1.57769 -0.0029
H 2.17176 0.06576 -0.36542 0.0067
H 1.18054 -0.04671 -1.95020 -0.0394
H -1.79419 1.70190 0.30649 -0.0046
H -3.03343 0.69418 -0.44001 -0.0275
H -1.31216 -0.58324 -1.58645 0.0493
H 0.18890 0.05379 0.86154 0.0164
H 0.08686 1.00228 3.17089 0.0002
H 1.13910 1.58136 2.28886 0.0004
O 0.28114 1.14279 2.23345 0.0060


x is preferred energetically. Next in line: 146.6 kJ/mol higher.


w:
14
Properties=species:S:1:pos:R:3:mulliken_charge:R:1 method="wB97M-V/def2-TZVPD" total_charge=+1 smiles="N/C([NH3+])=N/N(S)S" multiplicity=1 e_homo_ev=-12.55 gap_ha=0.32772
C -0.04883 0.61751 -0.44717 0.4188
N -0.29774 1.00250 0.69770 -0.2584
N 0.64058 1.33403 -1.37809 -0.4865
N -0.33507 -0.69884 -1.06175 -0.2390
N -0.84028 0.43429 1.73225 0.0269
S -1.65035 1.37462 2.87811 -0.0462
S -1.14671 -1.29651 1.80821 -0.2222
H 0.14378 1.58292 -2.24205 0.2187
H 1.35189 2.01722 -1.11441 0.2280
H -1.31904 -0.68395 -1.32219 0.3246
H 0.18685 -0.90644 -1.89290 0.3678
H -0.12932 -1.35867 -0.35520 0.2751
H -0.76584 0.86214 3.94721 0.1728
H -0.14212 -1.57351 2.67517 0.2197


x:
14
Properties=species:S:1:pos:R:3:mulliken_charge:R:1 method="wB97M-V/def2-TZVPD" total_charge=+1 multiplicity=1 e_homo_ev=-12.67 gap_ha=0.27714
C -0.42742 0.78350 -0.79398 0.6407
N -1.07321 -0.35137 -0.50184 0.0499
N -1.01249 1.96129 -0.42103 -0.3516
N 0.56902 0.79824 -1.63039 -0.3034
N -1.71807 -0.99689 0.31287 -0.2127
S 3.18057 -1.40737 1.02063 -0.3034
S -1.70456 -0.97274 1.90857 0.0292
H -1.43085 2.00537 0.50681 0.2138
H -0.93290 2.85817 -0.93185 0.2296
H 1.09393 -0.01199 -1.99261 0.2580
H 0.67800 1.61773 -2.10311 0.1844
H 2.01239 -1.30953 1.62495 0.1166
H 3.25410 -2.82741 0.93240 0.1904
H -2.48853 -2.14701 2.06857 0.2585


x is preferred energetically. Next in line: 30.9 kJ/mol higher.


w:
12
Properties=species:S:1:pos:R:3:mulliken_charge:R:1 method="wB97M-V/def2-TZVPD" total_charge=+1 multiplicity=1 e_homo_ev=-15.28 gap_ha=0.36392
C 3.11698 -0.33070 -0.03527 0.4332
C -1.48346 0.53436 0.04023 0.4787
C 1.98774 -1.07795 0.17800 -0.2502
C -2.84569 1.04417 -0.08018 -0.8673
N -0.54413 0.04731 -0.41611 -0.4406
S 4.33881 0.52368 -0.17195 -0.1466
H 0.83362 -0.65120 0.12439 0.3005
H 1.90346 -1.55810 1.19592 0.3358
H 2.22566 -1.89750 -0.60740 0.2790
H -3.37878 1.04046 0.86812 0.3054
H -3.19246 0.23398 -0.72030 0.2495
H -2.96174 2.09148 -0.37545 0.3225


x:
12
Properties=species:S:1:pos:R:3:mulliken_charge:R:1 method="wB97M-V/def2-TZVPD" total_charge=+1 smiles="C1=C[N@H+]2C[C@H]2S1" multiplicity=1 e_homo_ev="-12.89 / -12.89" gap_ha="0.30918 / 0.30913"
C -0.16660 1.29601 -0.23353 -0.4722
C -1.68842 1.20021 0.27994 -0.1942
C 0.44882 -1.02889 0.49500 -0.4385
C -0.60513 -1.02259 -0.52698 -0.0033
N 0.36675 0.05732 -0.49538 -0.0232
S -2.21529 -0.35666 -0.05415 -0.0292
H 0.45539 2.06264 -0.17749 0.4704
H -2.28186 2.09521 0.61295 0.3750